There is a tradition of growing a single quince tree in an apple orchard. One quince in a fruit bowl fills the room with perfume for weeks, and a few slices of quince in an apple pie intensifies the flavour of the apples. A little quince goes a long way, one of the several factors that make this such a perfect garden tree.
Discover our list of the best quince recipes.
What is quince?
Quince fruit
Quince fruits are at the more luxurious end of the grow-your-own spectrum: very much providers of flavour rather than bulk. They are also satisfyingly tricky to get hold of by any means other than growing them yourself; you will only find in the most exclusive – and expensive – of food shops. Quince (Cydonia oblonga) is such a long-cultivated fruit – loved by the Greeks and Romans and planted throughout the Mediterranean and North Africa – that its origins are obscured in the mists of time, but they probably lie in Asia. It is now found growing wild in the Middle East and into Eastern Europe, from Saudi Arabia to Georgia.
They have been grown in England since the 13th century and were common in the 1800s, only losing popularity and becoming something of a rarity relatively recently, as gardeners turned to softer fruits. Even without its culinary properties, this tree works hard for its garden space.
Quince trees
Quince makes a small and wide, lax but handsome tree and has perhaps the least fussy blossom of all: the quince tree flowers are large and cup-shaped and gently scented, their size giving them a slightly vulnerable look so early in the year. The quince tree leaves have a sculptural quality. They are large and shapely, with a felted appearance, and the fruit emerges small and fuzzy, maturing to hang like over-sized golden baubles. I have never eaten a soft, ripe quince. Few in the UK will have. Yet even in warmer climates than ours they are still fairly sour and acidic when ripe.
== Next to the entry, the page also holds materials data ==
=====
1.
# LuPdPbSe3 | OQMD via LeMat-Bulk | PBE | relaxed
data_LuPdPbSe3
_cell_length_a 7.3299
_cell_length_b 7.3299
_cell_length_c 10.5103
_cell_angle_alpha 90.00
_cell_angle_beta 90.00
_cell_angle_gamma 149.21
_space_group_name_H-M_alt 'P 1'
_space_group_IT_number 1
_space_group_name_Hall 'P 1'
loop_
_atom_site_label
_atom_site_type_symbol
_atom_site_fract_x
_atom_site_fract_y
_atom_site_fract_z
_atom_site_occupancy
Lu1 Lu 0.0000 0.0000 0.0000 1
Lu2 Lu 0.0000 0.0000 0.5000 1
Pb1 Pb 0.7814 0.2186 0.2500 1
Pb2 Pb 0.2186 0.7814 0.7500 1
Pd1 Pd 0.4652 0.5348 0.2500 1
Pd2 Pd 0.5348 0.4652 0.7500 1
Se1 Se 0.3587 0.6413 0.0465 1
Se2 Se 0.0808 0.9192 0.2500 1
Se3 Se 0.3587 0.6413 0.4535 1
Se4 Se 0.6413 0.3587 0.5465 1
Se5 Se 0.9192 0.0808 0.7500 1
Se6 Se 0.6413 0.3587 0.9535 1
# Calculated volume: 24.1 Å³/atom
# Space-group type: Cmcm (63)
# Electronic total energy: -59.15 eV/cell

2.
# ScReNiAs | OQMD via LeMat-Bulk | PBE | relaxed
data_ScReNiAs
_cell_length_a 4.4530
_cell_length_b 4.4530
_cell_length_c 4.4530
_cell_angle_alpha 60.00
_cell_angle_beta 60.00
_cell_angle_gamma 60.00
_space_group_name_H-M_alt 'P 1'
_space_group_IT_number 1
_space_group_name_Hall 'P 1'
loop_
_atom_site_label
_atom_site_type_symbol
_atom_site_fract_x
_atom_site_fract_y
_atom_site_fract_z
_atom_site_occupancy
As1 As 0.0000 0.0000 0.0000 1
Ni1 Ni 0.7500 0.7500 0.7500 1
Re1 Re 0.5000 0.5000 0.5000 1
Sc1 Sc 0.2500 0.2500 0.2500 1
# Calculated volume: 15.6 Å³/atom
# Space-group type: F-43m (216)
# Electronic total energy: -27.59 eV/cell

3.
# Er3TmIn2B2 | OQMD via LeMat-Bulk | PBE | relaxed
data_Er3TmIn2B2
_cell_length_a 3.5691
_cell_length_b 3.5691
_cell_length_c 16.8008
_cell_angle_alpha 90.00
_cell_angle_beta 90.00
_cell_angle_gamma 120.00
_space_group_name_H-M_alt 'P 1'
_space_group_IT_number 1
_space_group_name_Hall 'P 1'
loop_
_atom_site_label
_atom_site_type_symbol
_atom_site_fract_x
_atom_site_fract_y
_atom_site_fract_z
_atom_site_occupancy
B1 B 0.3333 0.6667 0.0005 1
B2 B 0.3333 0.6667 0.4999 1
Er1 Er 0.0000 0.0000 0.4087 1
Er2 Er 0.6667 0.3333 0.5908 1
Er3 Er 0.6667 0.3333 0.9099 1
In1 In 0.6667 0.3333 0.2493 1
In2 In 0.0000 0.0000 0.7502 1
Tm1 Tm 0.0000 0.0000 0.0907 1
# Calculated volume: 23.2 Å³/atom
# Space-group type: P3m1 (156)
# Electronic total energy: -38.07 eV/cell

4.
# ErPaNO | OQMD via LeMat-Bulk | PBE | relaxed
data_ErPaNO
_cell_length_a 4.2590
_cell_length_b 4.2590
_cell_length_c 7.7238
_cell_angle_alpha 90.00
_cell_angle_beta 90.00
_cell_angle_gamma 90.00
_space_group_name_H-M_alt 'P 1'
_space_group_IT_number 1
_space_group_name_Hall 'P 1'
loop_
_atom_site_label
_atom_site_type_symbol
_atom_site_fract_x
_atom_site_fract_y
_atom_site_fract_z
_atom_site_occupancy
Er1 Er 0.0000 0.5000 0.0995 1
Er2 Er 0.5000 0.0000 0.9005 1
N1 N 0.5000 0.0000 0.3589 1
N2 N 0.0000 0.5000 0.6411 1
O1 O 0.0000 0.0000 0.0000 1
O2 O 0.5000 0.5000 0.0000 1
Pa1 Pa 0.0000 0.0000 0.5000 1
Pa2 Pa 0.5000 0.5000 0.5000 1
# Calculated volume: 17.5 Å³/atom
# Space-group type: P4/nmm (129)
=====
What to do with quince
How to cook with quince
Here we have to cook quince to make them yield, but that’s not such a trial. The trickiest part is the chopping: you need a good, heavy knife to push through the solid flesh of a quince. After that, it’s all about slow cooking with quince: baking, stewing, poaching. In such cooking their firmness is an asset as the fruit holds its shape and texture. The taste of quince is citrusy, but gentler and without the sharpness of a lime or lemon, so it can be a brightener of other flavours – the fruity component in a tagine, the lemony note in an apple pie – or can stand alone, baked mellow and pink (as the yellow flesh turns on slow cooking) with the spices of the season. Its sharp fruitiness makes it a great companion to meats and cheeses, in the classic Spanish quince cheese paste recipe membrillo or when poached and preserved in vinegar and spices. See our quince recipes for a whole host of ways to cook quince. Here's a selection of quince recipes to explore.

How to plant a quince tree
Quince is pretty hardy and will survive down to -20°C. Despite this it does prefer a warm and sheltered spot. It likes a deep, fertile soil, but will tolerate most soils. Plant in autumn, winter or early spring, with a sturdy stake for a couple of years. Established trees need little pruning.
What sort of quince tree should I buy?
The most popular and widely available quince cultivars are ‘Meeches Prolific’ and ‘Vranja’. Both ripen early. ‘Vranja’ has softer flesh than most and a fine flavour, but ‘Meeches Prolific’ is the heavier cropper. ‘Leskovac’ can apparently ripen fully in warm summers in the UK.
Quinces are self-fertile but do better when grown near another plant of a different cultivar. ‘Meeches Prolific’ and ‘Vranja’ flower at the same time and are good pollinators for each other.
When to pick quince
Leave the fruits to ripen on the tree for as long as possible, but pick before the first frosts or they will not keep. Cut stalks with secateurs or scissors. Store in a fruit bowl, where you can enjoy their aroma, or in a cool place on slatted trays (but away from apples, or these will take on a quince flavour). Use within two or three months.
Where to buy quince trees
• Agroforestry Research Trust, 46 Hunters Moon, Dartington, Totnes TQ9 6JT.
• Keepers Nursery Gallants Court, East Farleigh, Kent ME15 0LE. Tel 01622 726465,